• Activity:
Please transcribe the whole of the block further down exactly.

• File:
____________
Entry 1:
{
  "formula": "SrB2O4",
  "functional": "r2SCAN",
  "state": "optimized geometry",
  "lattice": [[12.054, 0.000, 0.000], [0.000, 4.348, 0.000], [0.000, 0.000, 6.569]],
  "species": ["Sr", "Sr", "Sr", "Sr", "B", "B", "B", "B", "B", "B", "B", "B", "O", "O", "O", "O", "O", "O", "O", "O", "O", "O", "O", "O", "O", "O", "O", "O"],
  "frac_coords": [[0.000, 0.239, 0.250], [0.000, 0.761, 0.750], [0.500, 0.261, 0.750], [0.500, 0.739, 0.250], [0.194, 0.329, 0.626], [0.194, 0.671, 0.126], [0.306, 0.171, 0.126], [0.306, 0.829, 0.626], [0.694, 0.171, 0.374], [0.694, 0.829, 0.874], [0.806, 0.329, 0.874], [0.806, 0.671, 0.374], [0.091, 0.236, 0.594], [0.091, 0.764, 0.094], [0.211, 0.352, 0.147], [0.211, 0.648, 0.647], [0.289, 0.148, 0.647], [0.289, 0.852, 0.147], [0.409, 0.264, 0.094], [0.409, 0.736, 0.594], [0.591, 0.264, 0.406], [0.591, 0.736, 0.906], [0.711, 0.148, 0.853], [0.711, 0.852, 0.353], [0.789, 0.352, 0.353], [0.789, 0.648, 0.853], [0.909, 0.236, 0.906], [0.909, 0.764, 0.406]],
  "crystal_system": "orthorhombic",
  "delta_e_f_ev_per_atom": -2.92
}


Entry 2:
{
  "formula": "Er2FeGe4",
  "functional": "r2SCAN",
  "state": "optimized geometry",
  "lattice": [[4.096, 0.000, 0.000], [0.000, 4.153, 0.000], [0.000, 0.000, 15.677]],
  "species": ["Er", "Er", "Er", "Er", "Fe", "Fe", "Ge", "Ge", "Ge", "Ge", "Ge", "Ge", "Ge", "Ge"],
  "frac_coords": [[0.000, 0.000, 0.000], [0.000, 0.500, 0.500], [0.500, 0.000, 0.209], [0.500, 0.500, 0.709], [0.000, 0.000, 0.798], [0.000, 0.500, 0.298], [0.000, 0.000, 0.363], [0.000, 0.000, 0.651], [0.000, 0.500, 0.151], [0.000, 0.500, 0.863], [0.500, 0.000, 0.547], [0.500, 0.000, 0.863], [0.500, 0.500, 0.047], [0.500, 0.500, 0.363]],
  "crystal_system": "orthorhombic",
  "delta_e_f_ev_per_atom": -0.54
}


Copy entry 2 word for word.
{
  "formula": "Er2FeGe4",
  "functional": "r2SCAN",
  "state": "optimized geometry",
  "lattice": [[4.096, 0.000, 0.000], [0.000, 4.153, 0.000], [0.000, 0.000, 15.677]],
  "species": ["Er", "Er", "Er", "Er", "Fe", "Fe", "Ge", "Ge", "Ge", "Ge", "Ge", "Ge", "Ge", "Ge"],
  "frac_coords": [[0.000, 0.000, 0.000], [0.000, 0.500, 0.500], [0.500, 0.000, 0.209], [0.500, 0.500, 0.709], [0.000, 0.000, 0.798], [0.000, 0.500, 0.298], [0.000, 0.000, 0.363], [0.000, 0.000, 0.651], [0.000, 0.500, 0.151], [0.000, 0.500, 0.863], [0.500, 0.000, 0.547], [0.500, 0.000, 0.863], [0.500, 0.500, 0.047], [0.500, 0.500, 0.363]],
  "crystal_system": "orthorhombic",
  "delta_e_f_ev_per_atom": -0.54
}

* * * * *

(1)
Material: CaH12I2O14
Method: DFT, PBE-GGA
State: optimized geometry

```
58
Lattice="-0.169 -2.431 -10.165 2.687 -6.713 -7.549 -7.856 -7.686 -4.004" Properties=species:S:1:pos:R:3 pbc="T T T"
H -6.086 -8.171 -8.123
O -0.827 -3.944 -9.001
H -0.387 -9.095 -9.496
I 1.415 -4.305 -5.051
O -3.209 -10.105 -9.587
H -4.667 -7.914 -10.694
H -1.643 -6.816 -12.973
Ca -4.383 -10.710 -11.631
O 1.095 -6.484 -11.572
O -0.925 -8.564 -10.128
O 0.806 -6.358 -8.406
H 0.532 -5.977 -7.527
H 1.204 -7.230 -8.180
I -1.238 -11.061 -13.211
H -2.502 -9.414 -9.628
H 1.988 -6.916 -11.505
H -4.951 -7.734 -12.222
O -5.410 -11.731 -15.718
H -1.385 -3.744 -8.226
H -3.804 -11.565 -16.169
O -2.129 -6.724 -12.131
O 1.568 -8.267 -14.046
I -6.753 -12.524 -16.667
O -2.399 -6.661 -8.047
H -2.509 -7.405 -7.396
O -0.600 -10.853 -15.073
O -5.440 -13.328 -17.911
O -2.896 -11.306 -16.539
H 0.748 -8.658 -13.595
O -4.942 -7.313 -8.997
H -1.534 -5.264 -5.549
I -4.100 -5.769 -8.507
O -4.413 -8.265 -11.590
H -2.829 -9.425 -14.322
O -6.144 -10.472 -13.312
H -6.542 -9.600 -13.538
H -5.397 -13.308 -12.840
H 0.059 -3.521 -8.878
O -4.951 -12.426 -9.976
Ca -0.955 -6.119 -10.087
H -3.953 -13.086 -13.492
O -0.396 -9.516 -12.721
O -2.939 -10.169 -13.670
O 0.102 -3.502 -3.807
H -7.326 -9.914 -10.213
O -2.442 -5.524 -5.179
O -6.433 -10.346 -10.146
O -4.511 -12.885 -12.717
O -2.093 -11.578 -11.709
O -6.906 -8.563 -7.672
H -3.695 -10.013 -8.745
O 0.072 -5.098 -6.000
H -2.836 -7.415 -12.090
O -4.738 -5.976 -6.645
H -5.870 -10.852 -14.191
____________

• Done:
Entry 1:
{
  "formula": "SrB2O4",
  "functional": "r2SCAN",
  "state": "optimized geometry",
  "lattice": [[12.054, 0.000, 0.000], [0.000, 4.348, 0.000], [0.000, 0.000, 6.569]],
  "species": ["Sr", "Sr", "Sr", "Sr", "B", "B", "B", "B", "B", "B", "B", "B", "O", "O", "O", "O", "O", "O", "O", "O", "O", "O", "O", "O", "O", "O", "O", "O"],
  "frac_coords": [[0.000, 0.239, 0.250], [0.000, 0.761, 0.750], [0.500, 0.261, 0.750], [0.500, 0.739, 0.250], [0.194, 0.329, 0.626], [0.194, 0.671, 0.126], [0.306, 0.171, 0.126], [0.306, 0.829, 0.626], [0.694, 0.171, 0.374], [0.694, 0.829, 0.874], [0.806, 0.329, 0.874], [0.806, 0.671, 0.374], [0.091, 0.236, 0.594], [0.091, 0.764, 0.094], [0.211, 0.352, 0.147], [0.211, 0.648, 0.647], [0.289, 0.148, 0.647], [0.289, 0.852, 0.147], [0.409, 0.264, 0.094], [0.409, 0.736, 0.594], [0.591, 0.264, 0.406], [0.591, 0.736, 0.906], [0.711, 0.148, 0.853], [0.711, 0.852, 0.353], [0.789, 0.352, 0.353], [0.789, 0.648, 0.853], [0.909, 0.236, 0.906], [0.909, 0.764, 0.406]],
  "crystal_system": "orthorhombic",
  "delta_e_f_ev_per_atom": -2.92
}


Entry 2:
{
  "formula": "Er2FeGe4",
  "functional": "r2SCAN",
  "state": "optimized geometry",
  "lattice": [[4.096, 0.000, 0.000], [0.000, 4.153, 0.000], [0.000, 0.000, 15.677]],
  "species": ["Er", "Er", "Er", "Er", "Fe", "Fe", "Ge", "Ge", "Ge", "Ge", "Ge", "Ge", "Ge", "Ge"],
  "frac_coords": [[0.000, 0.000, 0.000], [0.000, 0.500, 0.500], [0.500, 0.000, 0.209], [0.500, 0.500, 0.709], [0.000, 0.000, 0.798], [0.000, 0.500, 0.298], [0.000, 0.000, 0.363], [0.000, 0.000, 0.651], [0.000, 0.500, 0.151], [0.000, 0.500, 0.863], [0.500, 0.000, 0.547], [0.500, 0.000, 0.863], [0.500, 0.500, 0.047], [0.500, 0.500, 0.363]],
  "crystal_system": "orthorhombic",
  "delta_e_f_ev_per_atom": -0.54
}


Copy entry 2 word for word.
{
  "formula": "Er2FeGe4",
  "functional": "r2SCAN",
  "state": "optimized geometry",
  "lattice": [[4.096, 0.000, 0.000], [0.000, 4.153, 0.000], [0.000, 0.000, 15.677]],
  "species": ["Er", "Er", "Er", "Er", "Fe", "Fe", "Ge", "Ge", "Ge", "Ge", "Ge", "Ge", "Ge", "Ge"],
  "frac_coords": [[0.000, 0.000, 0.000], [0.000, 0.500, 0.500], [0.500, 0.000, 0.209], [0.500, 0.500, 0.709], [0.000, 0.000, 0.798], [0.000, 0.500, 0.298], [0.000, 0.000, 0.363], [0.000, 0.000, 0.651], [0.000, 0.500, 0.151], [0.000, 0.500, 0.863], [0.500, 0.000, 0.547], [0.500, 0.000, 0.863], [0.500, 0.500, 0.047], [0.500, 0.500, 0.363]],
  "crystal_system": "orthorhombic",
  "delta_e_f_ev_per_atom": -0.54
}

* * * * *

(1)
Material: CaH12I2O14
Method: DFT, PBE-GGA
State: optimized geometry

```
58
Lattice="-0.169 -2.431 -10.165 2.687 -6.713 -7.549 -7.856 -7.686 -4.004" Properties=species:S:1:pos:R:3 pbc="T T T"
H -6.086 -8.171 -8.123
O -0.827 -3.944 -9.001
H -0.387 -9.095 -9.496
I 1.415 -4.305 -5.051
O -3.209 -10.105 -9.587
H -4.667 -7.914 -10.694
H -1.643 -6.816 -12.973
Ca -4.383 -10.710 -11.631
O 1.095 -6.484 -11.572
O -0.925 -8.564 -10.128
O 0.806 -6.358 -8.406
H 0.532 -5.977 -7.527
H 1.204 -7.230 -8.180
I -1.238 -11.061 -13.211
H -2.502 -9.414 -9.628
H 1.988 -6.916 -11.505
H -4.951 -7.734 -12.222
O -5.410 -11.731 -15.718
H -1.385 -3.744 -8.226
H -3.804 -11.565 -16.169
O -2.129 -6.724 -12.131
O 1.568 -8.267 -14.046
I -6.753 -12.524 -16.667
O -2.399 -6.661 -8.047
H -2.509 -7.405 -7.396
O -0.600 -10.853 -15.073
O -5.440 -13.328 -17.911
O -2.896 -11.306 -16.539
H 0.748 -8.658 -13.595
O -4.942 -7.313 -8.997
H -1.534 -5.264 -5.549
I -4.100 -5.769 -8.507
O -4.413 -8.265 -11.590
H -2.829 -9.425 -14.322
O -6.144 -10.472 -13.312
H -6.542 -9.600 -13.538
H -5.397 -13.308 -12.840
H 0.059 -3.521 -8.878
O -4.951 -12.426 -9.976
Ca -0.955 -6.119 -10.087
H -3.953 -13.086 -13.492
O -0.396 -9.516 -12.721
O -2.939 -10.169 -13.670
O 0.102 -3.502 -3.807
H -7.326 -9.914 -10.213
O -2.442 -5.524 -5.179
O -6.433 -10.346 -10.146
O -4.511 -12.885 -12.717
O -2.093 -11.578 -11.709
O -6.906 -8.563 -7.672
H -3.695 -10.013 -8.745
O 0.072 -5.098 -6.000
H -2.836 -7.415 -12.090
O -4.738 -5.976 -6.645
H -5.870 -10.852 -14.191